-- begin --
[1]
{
  "formula": "C25H13BrCoN6O6S",
  "method": "ωB97M-V/def2-TZVPD",
  "orbital_gap_ev": 7.40,
  "charge": 1,
  "homo_ev": -11.30,
  "lumo_energy_ev": -3.90,
  "largest_force_ev_per_a": 0.6,
  "energy_ev": -165864.5673,
  "relative_energy_kcal_mol": 3.0,
  "species": ["Co", "O", "C", "O", "C", "C", "C", "C", "C", "N", "C", "O", "O", "H", "H", "H", "H", "S", "N", "C", "C", "C", "C", "C", "N", "C", "C", "N", "C", "C", "C", "C", "C", "N", "H", "H", "H", "H", "H", "H", "Br", "C", "C", "N", "C", "C", "C", "C", "O", "O", "H", "H", "H"],
  "positions_angstrom": [[-0.667, -0.508, 0.010], [-1.814, 2.010, 2.851], [-1.248, 1.198, 2.005], [-1.868, 0.420, 1.274], [0.238, 1.173, 2.001], [1.167, 1.851, 2.753], [2.515, 1.653, 2.431], [2.889, 0.812, 1.393], [1.884, 0.157, 0.692], [0.629, 0.354, 1.033], [1.984, -0.809, -0.473], [3.045, -1.152, -0.920], [0.798, -1.207, -0.881], [-2.779, 1.978, 2.749], [0.860, 2.523, 3.541], [3.274, 2.178, 2.994], [3.921, 0.656, 1.112], [-3.592, -7.268, -0.076], [-2.643, -6.570, 1.021], [-2.398, -5.345, 0.585], [-1.570, -4.359, 1.258], [-0.893, -4.579, 2.459], [-0.123, -3.560, 2.979], [-0.038, -2.351, 2.293], [-0.677, -2.137, 1.151], [-1.437, -3.121, 0.641], [-2.098, -2.812, -0.608], [-1.884, -1.569, -1.087], [-2.393, -1.243, -2.264], [-3.175, -2.131, -3.006], [-3.422, -3.390, -2.511], [-2.867, -3.750, -1.281], [-3.025, -5.052, -0.654], [-3.731, -6.062, -1.133], [-0.982, -5.537, 2.953], [0.423, -3.681, 3.903], [0.575, -1.545, 2.677], [-2.164, -0.249, -2.603], [-3.571, -1.816, -3.960], [-4.023, -4.108, -3.055], [-0.488, 2.750, -6.401], [-0.467, 3.379, -4.623], [-0.340, 4.736, -4.362], [-0.315, 5.225, -3.127], [-0.425, 4.374, -2.114], [-0.562, 2.998, -2.279], [-0.573, 2.494, -3.571], [-0.684, 2.145, -1.057], [-0.697, 2.686, 0.047], [-0.757, 0.863, -1.275], [-0.252, 5.446, -5.176], [-0.407, 4.794, -1.117], [-0.648, 1.434, -3.762]]
}

***

[2]
{
  "formula": "C25H13Cl2MnN5O6",
  "method": "ωB97M-V/def2-TZVPD",
  "orbital_gap_ev": [6.88, 6.89],
  "charge": 2,
  "multiplicity": 2,
  "homo_ev": [-15.58, -15.59],
  "s2": 0.7773,
  "lumo_energy_ev": [-8.70, -8.70],
  "largest_force_ev_per_a": 0.9,
  "energy_ev": -102221.5843,
  "species": ["Mn", "Cl", "C", "C", "C", "N", "C", "O", "C", "C", "C", "C", "C", "N", "C", "C", "C", "Cl", "N", "C", "O", "C", "C", "C", "C", "C", "N", "H", "H", "H", "H", "H", "H", "H", "H", "H", "H", "O", "C", "O", "C", "C", "C", "C", "C", "N", "C", "O", "O", "H", "H", "H"],
  "positions_angstrom": [[-0.107, 0.036, 0.086], [-4.514, 3.477, 4.021], [-3.791, 2.541, 2.822], [-2.462, 2.316, 2.861], [-1.897, 1.517, 1.818], [-0.675, 1.150, 1.633], [0.389, 1.437, 2.579], [0.454, 2.425, 3.231], [1.243, 0.229, 2.673], [2.177, 0.058, 3.666], [2.781, -1.190, 3.777], [2.389, -2.201, 2.916], [1.456, -1.933, 1.923], [0.914, -0.726, 1.784], [-2.775, 0.937, 0.759], [-4.180, 1.215, 0.749], [-4.667, 1.987, 1.738], [-6.312, 2.351, 1.785], [-2.078, 0.240, -0.069], [-2.638, -0.336, -1.285], [-3.721, -0.811, -1.354], [-1.689, -0.048, -2.386], [-2.016, -0.199, -3.712], [-1.121, 0.293, -4.657], [0.023, 0.939, -4.221], [0.288, 1.022, -2.861], [-0.542, 0.507, -1.957], [-1.850, 2.747, 3.636], [2.391, 0.876, 4.340], [3.522, -1.376, 4.542], [2.794, -3.199, 3.000], [1.131, -2.710, 1.247], [-4.830, 0.801, -0.005], [-2.957, -0.661, -3.978], [-1.332, 0.199, -5.713], [0.718, 1.383, -4.920], [1.170, 1.529, -2.499], [-0.351, -3.653, -1.342], [0.008, -2.565, -1.022], [-0.725, -1.714, -0.274], [1.369, -2.003, -1.290], [2.439, -2.601, -1.927], [3.622, -1.872, -2.032], [3.708, -0.582, -1.511], [2.586, -0.059, -0.899], [1.479, -0.776, -0.811], [2.399, 1.293, -0.289], [3.236, 2.139, -0.247], [1.118, 1.478, 0.092], [2.334, -3.602, -2.323], [4.481, -2.312, -2.521], [4.611, 0.011, -1.569]]
}

***

[3]
{
  "formula": "C25H14Cl66FNbO2P",
  "method": "ωB97M-V/def2-TZVPD",
  "orbital_gap_ev": 5.95,
  "charge": -1,
  "homo_ev": -4.75,
  "lumo_energy_ev": 1.20,
  "largest_force_ev_per_a": 2.2,
  "energy_ev": -870273.5285,
-- stop --
It remains to say how many lines of the entries further above hold the word "energy_ev", as a bare number.
3